Understanding Depreciation Reports

Hi there! My name is Teresa Comeau, and I'm with Re/Max Select Realty, and we're located on Main St. in Vancouver, British Columbia. It's June 19, 2014. What I'm going to talk to you today about is Depreciation Reports. Now the BC government has legislated that all strata corporations of six units or more, need to do a depreciation report.

A depreciation report is a report about a building, and everything about the building as far as all the common property and common assets, including the roof, the envelope, balconies, plumbing, boiler system, everything that's in an apartment building. And what the report determines is what assets are there now, what required maintenance they need over the next 30 years. How much money does strata corporation has now, and how much money they're going to need to continue to repair and maintain this building. So it's a very useful report for buyers, and for lenders. Now the buyers will take a look at it and determine about how many assessments they'll have in the future, the general health of the building.

Same with the lenders. They want to know the financial health of the building. Now, some stratas can opt out of this requirement with a three-quarter vote from the owners, and some of the reasons they might opt out of it, is maybe they just need time to raise funds to do the report. Sometimes it's a newer building where they know a lot of other building, and they don't feel they need to have the report, and some buildings just aren't doing it.

Molecular data that have nothing to do with the text:
A cluster of 7 separate species, C32H33N7 in total, computed with ωB97M-V/def2-TZVPD.

```
72
Properties=species:S:1:pos:R:3:forces:R:3:lowdin_charge:R:1
C 2.5294 -1.5006 -0.3681 0.28 0.51 -0.90 -0.09
C 1.7780 -2.6068 -0.7175 -0.68 -0.51 0.09 -0.09
C 0.9357 -2.5166 -1.8236 -0.06 0.37 0.35 -0.16
N 0.7859 -1.4140 -2.5632 0.11 -0.20 -0.71 0.06
C 1.6077 -0.3886 -2.3703 0.97 -0.77 2.57 -0.12
C 2.5133 -0.4107 -1.2587 -0.58 -0.49 -0.26 -0.06
H 3.1598 -1.5041 0.5247 -0.14 0.08 -0.35 0.11
H 1.7448 -3.5336 -0.1287 0.21 0.49 -0.20 0.10
H 0.2923 -3.3565 -2.0655 -0.01 0.08 -0.10 0.10
H 1.5223 0.4993 -2.9707 -0.05 0.10 -0.36 0.08
H 3.2038 0.3930 -1.0671 -0.10 0.40 -0.09 0.07
C 3.2014 4.5250 2.6196 0.38 1.39 0.33 -0.08
C 3.8431 3.3763 2.2021 0.83 -0.67 -0.26 -0.07
C 5.2703 3.3787 2.0911 -1.78 0.07 -0.04 -0.15
N 5.9721 4.4411 2.4073 1.18 -1.17 0.07 0.05
C 5.3423 5.4761 2.8862 0.75 2.69 0.39 -0.20
C 3.9916 5.6549 2.9277 -0.96 -1.09 0.28 -0.07
H 2.1384 4.6711 2.7906 -0.03 -0.67 -0.38 0.11
H 3.2891 2.4689 1.9570 0.12 0.24 0.10 0.09
H 5.8474 2.5213 1.7604 -0.30 -0.11 -0.11 0.10
H 5.9771 6.3072 3.2419 -0.20 -0.41 -0.31 0.11
H 3.5740 6.5912 3.2923 -0.02 -0.29 -0.10 0.11
C 3.0145 4.8063 -1.2528 0.33 -0.52 0.20 -0.08
C 3.8937 3.7492 -1.4873 -0.30 0.13 -0.08 -0.07
C 3.6347 2.8970 -2.5557 -1.15 0.43 -0.51 -0.15
N 2.5380 3.0149 -3.3552 -0.18 1.03 1.01 0.06
C 1.6832 4.0618 -3.1074 1.92 -1.01 0.18 -0.13
C 1.9396 4.9981 -2.0995 -0.48 -0.43 -0.24 -0.08
H 3.1353 5.4040 -0.3557 0.12 0.22 -0.23 0.10
H 4.7437 3.5923 -0.8307 -0.08 -0.05 -0.14 0.09
H 4.2993 2.0643 -2.7699 -0.10 0.07 -0.09 0.10
H 0.8085 4.1156 -3.7444 0.06 0.06 -0.01 0.10
H 1.2685 5.8265 -1.9305 -0.16 0.03 -0.05 0.10
C -0.9164 -3.2791 2.2865 -0.10 -0.23 0.79 -0.09
C -1.9843 -2.4558 2.6182 -1.53 -0.13 0.45 -0.08
C -3.1534 -3.0588 3.1627 0.66 -1.36 -0.43 -0.12
N -3.2722 -4.4221 3.3264 -0.19 1.80 0.29 0.04
C -2.2135 -5.1848 3.1023 0.63 1.63 -1.08 -0.16
C -1.0199 -4.6348 2.5967 0.11 0.08 -0.23 -0.08
H 0.0213 -2.8601 1.8951 -0.54 -0.23 0.05 0.10
H -1.9534 -1.3824 2.4226 -0.02 -0.30 0.07 0.07
H -4.0679 -2.5103 3.4489 0.77 -0.05 -0.30 0.10
H -2.3663 -6.2335 3.2019 0.15 -0.71 0.27 0.09
H -0.1419 -5.2245 2.3954 -0.02 -0.52 0.05 0.09
C -2.4503 -2.7333 -1.1526 -0.60 -1.04 -0.52 -0.08
C -2.7068 -4.1232 -1.2387 0.80 1.16 1.12 -0.08
C -3.1716 -4.6477 -2.4251 0.19 0.05 0.84 -0.19
N -3.3899 -3.9119 -3.4773 0.06 0.99 -1.95 0.05
C -3.0771 -2.6080 -3.4775 0.20 -0.68 0.98 -0.12
C -2.6343 -1.9755 -2.3108 -0.04 -0.20 0.09 -0.07
H -2.1348 -2.3002 -0.2015 0.02 0.01 -0.39 0.08
H -2.4638 -4.7372 -0.3679 -0.26 -0.02 -0.30 0.10
H -3.3461 -5.6939 -2.5512 -0.22 -0.63 0.13 0.10
H -3.1225 -2.1151 -4.4439 -0.23 0.17 0.23 0.10
H -2.4193 -0.9209 -2.2898 0.09 0.18 -0.15 0.08
C -0.9891 2.5054 -0.8641 -0.62 -1.45 0.03 -0.06
C -2.1547 1.7341 -0.9195 0.19 -0.27 0.17 -0.06
C -2.3457 0.7078 0.0253 -0.63 0.34 0.09 -0.17
N -1.4327 0.3706 0.9132 1.22 0.46 -0.17 0.05
C -0.2599 1.0644 0.9024 -1.76 -0.17 0.48 -0.14
C -0.0356 2.1759 0.1149 0.09 0.03 -0.52 -0.07
So much for the molecular data:

And it'd be interesting to see how the market place changes and how lenders look at copies that don't have it. So, one of the other things that we'll see is probably an increase in strata fees. Now, the strata fees will likely see an increase because, well, for instance one strata corporation I was looking at, it was underfunded.

And after the report, they determined that they needed about 29 assessments over the next 30 years. And, so the strata corporation decided to increase the maintenance fees, $75 a month, and what that did, is it brought that 29 assessments down to 9 assessments over the next 30 years. So, likely a lot of strata corporations might take a look at their maintenance fees and realize that they can lower their assessments by increasing their fees.

So you probably will see fees go up. Now as a buyers' agent, I can help buyers interpret these reports and figure out how much money they might need to live in that property, over number of years that they plan to live there. For sellers, I can help them determine what the buyer's reaction will be to the report.

I can help them price the property due to the report, and also the timing in the market and timing of the report. So, if you have any questions, if you're a buyer or a seller, and you have any questions about depreciation reports, or any other real estate matter, I'd be happy to sit down and talk with you, or you can send me an email at teresa@teresacomeau.ca and my phone number is 604-240-1879, and thank for watching